Are Systane Ultra eye drops right for you?

When you look at all the eye drops available at your local grocery store or pharmacy, the sheer number and variety can be overwhelming. Even within the Systane family of eye care products, there are many options, and for temporary relief of eye dryness, Systane Ultra Lubricant Eye Drops are both mild and effective.
Here’s more about Systane Ultra: what it’s used for, its ingredients, how to use it, and what makes it different from other eye drops.
Systane Ultra eye drops for the relief of eye dryness
When your tear ducts don’t provide enough lubrication, your eyes can feel dry and uncomfortable. There are a number of factors that can cause this to happen, including:
Environmental factors, such as ceiling fan use or an arid climate
Medication side effects
Contact lens wear
Certain health conditions
While Systane Ultra drops are specifically indicated “for the temporary relief of burning and irritation due to dryness of the eye,” there are other symptoms of dry eye, such as:
Redness – Red eyes, sometimes called bloodshot eyes, happen when the tiny blood vessels in the white portion of the eye expand, giving the eyes a pink or red appearance. Eye redness can be a sign of dry eyes, infection or allergies. Though the discomfort is generally minor, people sometimes feel self-conscious about eye redness.
Itching – Often, the biggest challenge with itchy eyes is resisting the urge to rub and scratch. It’s important to avoid this so you don’t introduce any new irritants to your eye, which can exacerbate the problem.
Soreness – When caused by dry eye syndrome, aching in and around the eyes generally isn’t something to worry about. In rare cases, it can be a symptom of inflammation or damage to the optic nerve, so if you have soreness that persists, contact your eye doctor.
Discharge – Eye discharge, sometimes called “sleep” or “eye gunk,” is the body’s response to irritation caused by dryness, allergies, infection or other irritants.
Eye drops like Systane Ultra artificial tears can bring relief from most of these symptoms.
Systane Ultra ingredients
The text is interrupted by records of crystals =
No. 1
Density functional theory data (r²SCAN) for a relaxed structure of Er2NiIr.

SG: Fm-3m, No. 225
Crystal system: cubic
Uncorrected energy in eV per atom: -33.80

a b c (Å): 6.695 6.695 6.695
angles (deg): 90.00 90.00 90.00
Fractional coordinates of all 16 atoms:
Er 0.250 0.250 0.250
Er 0.250 0.250 0.750
Er 0.250 0.750 0.250
Er 0.250 0.750 0.750
Er 0.750 0.250 0.250
Er 0.750 0.250 0.750
Er 0.750 0.750 0.250
Er 0.750 0.750 0.750
Ni 0.000 0.000 0.000
Ni 0.000 0.500 0.500
Ni 0.500 0.000 0.500
Ni 0.500 0.500 0.000
Ir 0.000 0.000 0.500
Ir 0.000 0.500 0.000
Ir 0.500 0.000 0.000
Ir 0.500 0.500 0.500

=====

No. 2
Density functional theory data (r²SCAN) for a relaxed structure of Er5P12Ir19.

SG: P-62m, No. 189
Crystal system: hexagonal
Uncorrected energy in eV per atom: -36.23

a b c (Å): 12.623 12.623 3.951
angles (deg): 90.00 90.00 120.00
Fractional coordinates of all 36 atoms:
Er 0.000 0.182 0.000
Er 0.182 0.000 0.000
Er 0.333 0.667 0.500
Er 0.667 0.333 0.500
Er 0.818 0.818 0.000
P 0.000 0.355 0.500
P 0.000 0.822 0.500
P 0.171 0.688 0.000
P 0.178 0.178 0.500
P 0.312 0.483 0.000
P 0.355 0.000 0.500
P 0.483 0.312 0.000
P 0.517 0.829 0.000
P 0.645 0.645 0.500
P 0.688 0.171 0.000
P 0.822 0.000 0.500
P 0.829 0.517 0.000
Ir 0.000 0.000 0.500
Ir 0.000 0.534 0.500
Ir 0.000 0.715 0.000
Ir 0.134 0.494 0.000
Ir 0.181 0.807 0.500
Ir 0.193 0.374 0.500
Ir 0.285 0.285 0.000
Ir 0.360 0.866 0.000
Ir 0.374 0.193 0.500
Ir 0.466 0.466 0.500
Ir 0.494 0.134 0.000
Ir 0.506 0.640 0.000
Ir 0.534 0.000 0.500
Ir 0.626 0.819 0.500
Ir 0.640 0.506 0.000
Ir 0.715 0.000 0.000
Ir 0.807 0.181 0.500
Ir 0.819 0.626 0.500
Ir 0.866 0.360 0.000

=====

No. 3
Density functional theory data (r²SCAN) for a relaxed structure of ErSbIr.

SG: Pnma, No. 62
Crystal system: orthorhombic
Uncorrected energy in eV per atom: -38.34

a b c (Å): 7.093 4.495 7.817
angles (deg): 90.00 90.00 90.00
Fractional coordinates of all 12 atoms:
Er 0.011 0.250 0.193
Er 0.489 0.750 0.693
Er 0.511 0.250 0.307
Er 0.989 0.750 0.807
Sb 0.179 0.250 0.589
Sb 0.321 0.750 0.089
Sb 0.679 0.250 0.911
Sb 0.821 0.750 0.411
Ir 0.210 0.750 0.413
Ir 0.290 0.250 0.913
Ir 0.710 0.750 0.087
Ir 0.790 0.250 0.587

=====

No. 4
Density functional theory data (r²SCAN) for a relaxed structure of Er4Si9Ir13.

SG: Pmmn, No. 59
Crystal system: orthorhombic
Uncorrected energy in eV per atom: -35.52

a b c (Å): 3.932 10.930 18.884
angles (deg): 90.00 90.00 90.00
Fractional coordinates of all 52 atoms:
Er 0.250 0.059 0.208
Er 0.250 0.250 0.022
Er 0.250 0.441 0.208
Er 0.250 0.750 0.519
Er 0.750 0.250 0.481
Er 0.750 0.559 0.792
Er 0.750 0.750 0.978
Er 0.750 0.941 0.792
Si 0.250 0.068 0.415
Si 0.250 0.124 0.729
Si 0.250 0.250 0.603
Si 0.250 0.376 0.729
Si 0.250 0.432 0.415
Si 0.250 0.562 0.920
Si 0.250 0.750 0.102
Si 0.250 0.750 0.732
Si 0.250 0.938 0.920
Si 0.750 0.062 0.080
Si 0.750 0.250 0.268
Si 0.750 0.250 0.898
Si 0.750 0.438 0.080
Si 0.750 0.568 0.585
Si 0.750 0.624 0.271
Si 0.750 0.750 0.397
Si 0.750 0.876 0.271
Si 0.750 0.932 0.585
While some more chronic eye conditions require prescription medication, most people experiencing mild, periodic discomfort from dry eyes can generally find relief with over-the-counter (OTC) eye drops such as Systane Ultra by Alcon.
These drops specifically address burning and irritation by lubricating the eyes. The active ingredients in Systane Ultra drops are polyethylene glycol 400 (0.04%) and propylene glycol (0.3%).
Polyethylene glycol 400, also known as artificial tears, reduces friction between the surface of the eye and the eyelid. It also increases the viscosity of existing tears so that they evaporate more slowly.
Propylene glycol is a synthetic liquid that forms a protective layer over the mucus membranes of the eye to reduce inflammation and irritation.
Both substances have been thoroughly tested and, unless a person is specifically allergic to polyethylene glycol 400 and/or propylene glycol (which is rare), the drops are indicated for safe use.
Are Systane Ultra eye drops safe to use?
Your eyes are delicate sensory organs, protected only by a thin layer of mucus membrane. You should always be careful what you put in and near your eyes.
While it is generally safe to use Systane Ultra with contact lenses, it’s probably a good idea to give your eyes a break from contacts if they’re feeling dry. It’s also important to remember that not all eye drops are contact-friendly, so be sure to read the label and instructions carefully before using any drops, and consult with your eye doctor if you have any questions.
To avoid eye infection, keep the tip of the applicator clean (i.e., don’t touch it). And if your eye drops turn cloudy, they should be disposed of and replaced.
Systane eye care products
The Systane family of products includes:
Systane Ultra Lubricant Eye Drops
Systane Ultra Preservative-Free Lubricant Eye Drops
Systane Complete Lubricant Eye Drops
Systane Balance Lubricant Eye Drops
Systane Lubricant Gel Drops
Systane Lubricant Eye Gel
Check out the Systane product page for more details.
Eye drops vs. gel drops
The main difference between eye drops and eye gel is the viscosity, which in turn affects how long the relief of symptoms lasts. Eye drops provide quick relief for hurting eyes, but their thin, watery consistency means they can evaporate quickly.
Because gels are much thicker than drops, they continue to work for a longer period of time. Unfortunately, this thickness can cause blurred vision, so eye gels and gel drops are typically suggested for use at night, when most people won’t be hampered by any impaired vision.
If you have more than one type of eye treatment in your routine, it’s best to use the gel last. And, if you wear contact lenses, they should be removed before a gel treatment is applied:
Apply the most fluid (wateriest) drops first and allow them to absorb into the eye(s).
If you wear contacts, remove them before applying any eye gel.
Apply eye gel.
Doing these steps in reverse may impede absorption of the regular drops and make it difficult to get contacts out.
Eye drops: With or without preservatives?
Preservative-free drops are great for people with particularly sensitive eyes or for individuals who use their eye drops more than four times a day.
In addition to Systane Hydration Preservative-Free Eye Drops and Systane Original Preservative-Free Lubricant Eye Drops, Alcon also offers Systane Ultra preservative-free eye drops in 0.7mL, single-use vials.
Each vial remains sealed until use and is disposed of immediately afterward, so bacteria and fungi have no opportunity to grow or spread. If you find that even Alcon’s Polyquad preservative is irritating your eyes, Systane Ultra preservative-free vials may be a good option for you. Ask your doctor or ophthalmologist.
Administering eye drops
Eye drops can be a little tricky to administer at first, but with a little practice, it gets easier. Just follow these steps:
Wash your hands to avoid introducing any contaminants into your eyes.
If you wear contacts and your eye drops aren’t contact-friendly, take your contacts out.
Avoid touching the applicator tip, and drop the liquid directly into your eye.
If any excess drops run down your cheek, you’ve probably applied too much.
If your first attempt goes poorly, don’t fret. Developing your skills at eye drop application may take a few tries, and you are not alone.
READ MORE: How to put in eye drops
Where to get Systane eye drops
_Materials data that have nothing to do with the page_
Here is an optimized crystal structure of Sn3H2O4 from the Materials Project. Energies are from meta-GGA r2SCAN. Values from VASP.

```
&SYSTEM
  ibrav = 0, nat = 36, ntyp = 3
/
ATOMIC_SPECIES
Sn 118.71 Sn.upf
H 1.01 H.upf
O 16.00 O.upf
CELL_PARAMETERS angstrom
7.924 0.000 0.000
0.000 7.924 0.000
0.000 0.000 9.078
ATOMIC_POSITIONS angstrom
Sn 6.301 4.905 4.566
Sn 2.339 6.981 9.052
Sn 1.623 3.019 4.566
Sn 5.585 0.943 9.052
Sn 4.905 1.623 4.513
Sn 6.981 5.585 0.027
Sn 3.019 6.301 4.513
Sn 0.943 2.339 0.027
Sn 3.962 3.962 7.056
Sn 0.000 0.000 6.562
Sn 3.962 3.962 2.022
Sn 0.000 0.000 2.517
H 5.237 6.530 6.695
H 1.275 5.356 6.923
H 2.687 1.394 6.695
H 6.649 2.568 6.923
H 6.530 2.687 2.383
H 5.356 6.649 2.156
H 1.394 5.237 2.383
H 2.568 1.275 2.156
O 4.831 5.905 6.058
O 0.869 5.981 7.559
O 3.093 2.019 6.058
O 7.055 1.943 7.559
O 5.905 3.093 3.020
O 5.981 7.055 1.519
O 2.019 4.831 3.020
O 1.943 0.869 1.519
O 5.420 3.324 5.647
O 1.458 0.638 7.970
O 2.504 4.600 5.647
O 6.466 7.286 7.970
O 3.324 2.504 3.431
O 0.638 6.466 1.108
O 4.600 5.420 3.431
O 7.286 1.458 1.108
```

* volume: 15.83 Å³ per atom
* magnetic moment: 0.00 μB/cell
* E: -465.58 eV/cell

---

Here is an optimized crystal structure of SrH16O10 from the Materials Project. Energies are from meta-GGA r2SCAN. Values from VASP.

```
&SYSTEM
  ibrav = 0, nat = 54, ntyp = 3
/
ATOMIC_SPECIES
Sr 87.62 Sr.upf
H 1.01 H.upf
O 16.00 O.upf
CELL_PARAMETERS angstrom
4.429 4.433 -0.002
-4.429 4.433 -0.002
0.000 0.057 10.947
ATOMIC_POSITIONS angstrom
Sr 4.416 4.445 2.748
Sr -4.416 4.474 8.222
H 1.861 2.171 4.045
H 0.509 2.972 3.863
H -0.493 5.918 3.889
H -0.776 6.873 5.130
H -1.478 3.949 3.874
H -2.290 2.604 4.059
H 1.471 4.956 3.883
H 2.419 5.235 5.126
H -1.471 4.985 9.356
H -2.419 5.263 10.599
H 2.290 2.633 9.532
H 1.478 3.978 9.348
H -1.861 2.200 9.519
H -0.509 3.001 9.337
H 0.493 5.946 9.362
H 0.776 6.901 10.604
H -0.516 5.950 7.107
H -1.866 6.751 6.919
H 0.486 3.000 7.079
H 0.770 2.048 5.835
H 1.471 4.966 7.099
H 2.283 6.311 6.918
H -1.476 3.960 7.095
H -2.423 3.680 5.850
H 1.476 3.931 1.621
H 2.423 3.651 0.376
H -2.283 6.282 1.445
H -1.471 4.938 1.625
H 1.866 6.723 1.446
H 0.516 5.921 1.633
H -0.486 2.971 1.605
H -0.770 2.019 0.361
O -0.002 4.439 3.491
O 0.002 4.468 8.965
O -0.004 4.479 7.483
O 0.004 4.450 2.010
O 0.878 2.066 4.110
O -0.849 6.825 4.144
O -2.384 3.588 4.129
O 2.376 5.316 4.139
O -2.376 5.344 9.612
O 2.384 3.616 9.603
O -0.878 2.095 9.584
O 0.849 6.853 9.617
O -0.883 6.855 6.855
O 0.843 2.095 6.822
O 2.378 5.328 6.846
O -2.381 3.599 6.837
O 2.381 3.570 1.363
O -2.378 5.299 1.373
O 0.883 6.826 1.382
O -0.843 2.066 1.348
```

* volume: 7.96 Å³ per atom
* magnetic moment: 0.00 μB/cell
* E: -324.16 eV/cell

---

Here is an optimized crystal structure of TbH3O3 from the Materials Project. Energies are from meta-GGA r2SCAN. Values from VASP.

```
&SYSTEM
  ibrav = 0, nat = 14, ntyp = 3
/
ATOMIC_SPECIES
Tb 158.93 Tb.upf
H 1.01 H.upf
O 16.00 O.upf
CELL_PARAMETERS angstrom
2.039 4.627 3.706
_End of the materials data_
Over-the-counter Systane Ultra eye drops can be purchased in various sizes, including 10mL, 30mL and preservative-free, single-use 0.7mL vials, both online and in stores. Printable coupons are also available online.
How long can you keep eye drops?
Another way to lower cost per ounce is to buy in bulk. Just keep in mind that you should not use eye drops that have expired.
You should also avoid using eye drops that have been open for more than 28 days or that have changed color or consistency in any way.
When to see a doctor
If you’re suffering from dry eye syndrome, Systane Ultra eye drops may be able to help. However, if you notice any new redness or irritation after using the drops, or you still don’t feel any relief after a few days, contact your eye doctor to schedule an exam.
**Misplaced crystal structures:**
********
1.
Material: Cu2ClO3
Method: DFT, PBE
State: optimized geometry

CIF file:
```
data_Cu2ClO3
_chemical_formula_sum 'Cu4 Cl2 O6'
_cell_length_a 5.3275
_cell_length_b 5.9306
_cell_length_c 5.3579
_cell_angle_alpha 90.00
_cell_angle_beta 90.69
_cell_angle_gamma 90.00
_symmetry_space_group_name_H-M 'P 1 21/m 1'
_symmetry_Int_Tables_number 11
loop_
_symmetry_equiv_pos_as_xyz
'x,y,z'
'-x,-y,-z'
'-x,y+1/2,-z'
'x,-y+1/2,z'
loop_
_atom_site_label
_atom_site_type_symbol
_atom_site_fract_x
_atom_site_fract_y
_atom_site_fract_z
Cu1 Cu 0.0000 0.0000 0.0000
Cu2 Cu 0.4982 0.2500 0.0119
Cl1 Cl 0.2133 0.7500 0.6287
O1 O 0.1137 0.2500 0.8337
O2 O 0.3238 0.5101 0.1421
```

Computed properties:
Formation energy from the elements   -0.577 eV per atom
Energy relative to the lowest polymorph listed for this composition   0.0 meV per atom

2.
Material: Cu2ClO3
Method: DFT, PBE
State: optimized geometry

CIF file:
```
data_Cu2ClO3
_chemical_formula_sum 'Cu48 Cl24 O72'
_cell_length_a 12.6570
_cell_length_b 12.6570
_cell_length_c 13.3731
_cell_angle_alpha 90.00
_cell_angle_beta 90.00
_cell_angle_gamma 120.00
_symmetry_space_group_name_H-M 'R -3'
_symmetry_Int_Tables_number 148
_symmetry_space_group_name_Hall '-R 3'
loop_
_atom_site_label
_atom_site_type_symbol
_atom_site_fract_x
_atom_site_fract_y
_atom_site_fract_z
Cu1 Cu 0.0000 0.0000 0.0000
Cu2 Cu 0.0000 0.5000 0.0000
Cu3 Cu 0.0017 0.2503 0.4986
Cu4 Cu 0.0797 0.1664 0.1676
Cl1 Cl 0.0000 0.0000 0.3093
Cl2 Cl 0.0030 0.5025 0.6904
O1 O 0.0305 0.2684 0.2296
O2 O 0.0395 0.7715 0.2359
O3 O 0.0631 0.1314 0.8996
O4 O 0.0977 0.8973 0.4342
```

Computed properties:
Formation energy from the elements   -0.557 eV per atom
Energy relative to the lowest polymorph listed for this composition   19.8 meV per atom

3.
Material: Cu2ClO3
Method: DFT, PBE
State: optimized geometry

CIF file:
```
data_Cu2ClO3
_chemical_formula_sum 'Cu8 Cl4 O12'
_cell_length_a 5.8452
_cell_length_b 6.3156
_cell_length_c 9.6266
_cell_angle_alpha 90.00
_cell_angle_beta 118.96
_cell_angle_gamma 90.00
_symmetry_space_group_name_H-M 'P 1 21/c 1'
_symmetry_Int_Tables_number 14
loop_
_symmetry_equiv_pos_as_xyz
'x,y,z'
'-x,-y,-z'
'-x,y+1/2,-z+1/2'
'x,-y+1/2,z+1/2'
loop_
_atom_site_label
_atom_site_type_symbol
_atom_site_fract_x
_atom_site_fract_y
_atom_site_fract_z
Cu1 Cu 0.0000 0.0000 0.0000
Cu2 Cu 0.0084 0.2421 0.2512
Cu3 Cu 0.5000 0.0000 0.0000
Cl1 Cl 0.3062 0.5020 0.1902
O1 O 0.1581 0.5131 0.7272
O2 O 0.2253 0.6889 0.4674
O3 O 0.2515 0.2120 0.9647
```

Computed properties:
Formation energy from the elements   -0.558 eV per atom
Energy relative to the lowest polymorph listed for this composition   19.0 meV per atom

4.
Material: CuPb2Cl3O2
Method: DFT, PBE
State: optimized geometry

CIF file:
```
data_CuPb2Cl3O2
_chemical_formula_sum 'Cu16 Pb32 Cl48 O32'
_cell_length_a 13.8556
_cell_length_b 13.8556
_cell_length_c 14.4134
_cell_angle_alpha 90.00
_cell_angle_beta 90.00
_cell_angle_gamma 90.00
_symmetry_space_group_name_H-M 'I 41/a c d'
********
Page published on Wednesday, March 24, 2021